Jesus will raise all incorruptible by sin. It would be wrong not to but that's universalism.
On second thought, that’s a more big picture assumption. Fundamentalists use it as their main belief. In MBTI the cognitive functions are not of equal strength and why people think they are when first exposed to it, means they didn’t get it. Consider F or T and how most people are probably F. And then T is considered logical or smart (Ti). Te is used more as a standard for what works and what something should be, whereas Ti understands it and puts it to use through action. But, people prefer feelings instead then disregard not just logic but other people’s reasoning. So it doesn’t make sense, because one will just “do the opposite” to whatever the other presents although, it should be noted, it’s usually one seeking the other out for whatever reason. In school they teach you how to think by doing science and/or work and the value of art. Feelers such as ENFP can just look at you with their eyeballs, and then supposedly intuit if you want to say something or not. They just provoke a response whether requested or not. No one cares about the inkling they think they have. Add to that certain reasons why people refuse to react or do certain things then you got yourself a recipe for easy moral dilemma swept under the rug as second hand opportunistic discovery under the impression it’s novel material or “first come first serve” accomplishment.
Next to the piece, the page also holds records of crystals =
+++
Entry 1:
A geometry-optimized Nd3ThPd12 structure. Source: Alexandria via LeMat-Bulk, functional PBE-GGA.

Calculated values
Raw total energy   -97.4 eV per cell
Space-group type   P4/mmm

Unit cell a=4.206 b=4.206 c=16.800 alpha=90.00 beta=90.00 gamma=90.00
Element x y z (fractional)
Nd 0.000 0.000 0.000
Nd 0.000 0.000 0.249
Nd 0.000 0.000 0.751
Th 0.000 0.000 0.500
Pd 0.000 0.500 0.125
Pd 0.000 0.500 0.377
Pd 0.000 0.500 0.623
Pd 0.000 0.500 0.875
Pd 0.500 0.000 0.125
Pd 0.500 0.000 0.377
Pd 0.500 0.000 0.623
Pd 0.500 0.000 0.875
Pd 0.500 0.500 0.000
Pd 0.500 0.500 0.251
Pd 0.500 0.500 0.500
Pd 0.500 0.500 0.749

***

Entry 2:
A geometry-optimized Nd2ThPd9 structure. Source: Alexandria via LeMat-Bulk, functional PBE-GGA.

Calculated values
Raw total energy   -74.0 eV per cell
Space-group type   P4/mmm

Unit cell a=4.201 b=4.201 c=12.641 alpha=90.00 beta=90.00 gamma=90.00
Element x y z (fractional)
Nd 0.000 0.000 0.165
Nd 0.000 0.000 0.835
Th 0.000 0.000 0.500
Pd 0.000 0.500 0.000
Pd 0.000 0.500 0.337
Pd 0.000 0.500 0.663
Pd 0.500 0.000 0.000
Pd 0.500 0.000 0.337
Pd 0.500 0.000 0.663
Pd 0.500 0.500 0.168
Pd 0.500 0.500 0.500
Pd 0.500 0.500 0.832

***

Entry 3:
A geometry-optimized NdThZnPd structure. Source: Alexandria via LeMat-Bulk, functional PBE-GGA.

Calculated values
Raw total energy   -20.3 eV per cell
Space-group type   F-43m

Unit cell a=5.168 b=5.168 c=5.168 alpha=60.00 beta=60.00 gamma=60.00
Element x y z (fractional)
Nd 0.000 0.000 0.000
Th 0.500 0.500 0.500
Zn 0.750 0.750 0.750
Pd 0.250 0.250 0.250

***

Entry 4:
A geometry-optimized NdTiPd6 structure. Source: Alexandria via LeMat-Bulk, functional PBE-GGA.

Calculated values
Raw total energy   -49.4 eV per cell
Space-group type   P4/mmm

Unit cell a=4.074 b=4.074 c=8.103 alpha=90.00 beta=90.00 gamma=90.00
Element x y z (fractional)
Nd 0.000 0.000 0.000
Ti 0.000 0.000 0.500
Pd 0.000 0.500 0.272
Pd 0.000 0.500 0.728
Pd 0.500 0.000 0.272
Pd 0.500 0.000 0.728
Pd 0.500 0.500 0.000
Pd 0.500 0.500 0.500

***

Entry 5:
A geometry-optimized NdTi2Pd9 structure. Source: Alexandria via LeMat-Bulk, functional PBE-GGA.

Calculated values
Raw total energy   -75.4 eV per cell
Space-group type   P4/mmm

Unit cell a=4.025 b=4.025 c=12.029 alpha=90.00 beta=90.00 gamma=90.00
Element x y z (fractional)
Nd 0.000 0.000 0.000
Ti 0.000 0.000 0.338
Ti 0.000 0.000 0.662
Pd 0.000 0.500 0.185
Pd 0.000 0.500 0.500
Pd 0.000 0.500 0.815
Pd 0.500 0.000 0.185
Pd 0.500 0.000 0.500
Pd 0.500 0.000 0.815
Pd 0.500 0.500 0.000
Pd 0.500 0.500 0.342
Pd 0.500 0.500 0.658

***

Entry 6:
A geometry-optimized NdTlPd6 structure. Source: Alexandria via LeMat-Bulk, functional PBE-GGA.

Calculated values
Excess energy over the best structure of this formula in the dataset   18.9 kJ per mole of atoms
Space-group type   Pm-3

Unit cell a=5.279 b=5.279 c=5.279 alpha=90.00 beta=90.00 gamma=90.00
Element x y z (fractional)
Nd 0.000 0.000 0.000
Tl 0.500 0.500 0.500
Pd 0.000 0.253 0.500
Pd 0.000 0.747 0.500
Pd 0.253 0.500 0.000
+++
Back to the piece =
In the blink of an eye, we are past the point of human history. Artificial intelligence came, now people are scrambling to taste the experience of a life always denied to them because of their own economic hardship and bad roll of the die wherein they were born into poverty and strife. It’s too late, and little wonder why aggression occurs, in hot weather nonetheless. Now guys are resorting to the same tired tactic, an alternative to the one girls do of making friends with the uglier girl so they look prettier next to them. A guy associates with others for the reputation just to use it to show and impress a chick with. Of course it doesn’t matter if something is valid because if you don’t want to accept logic just go with a feeling instead for the time being.
[Next to the piece, the page also holds calculated crystals]
┌──
## w
{
  "formula": "PuHgOs",
  "functional": "PBE",
  "state": "optimized geometry",
  "lattice_angstrom": [[0.000, 3.278, 3.278], [3.278, 0.000, 3.278], [3.278, 3.278, 0.000]],
  "species": ["Hg", "Os", "Pu"],
  "fractional_positions": [[0.250, 0.250, 0.250], [0.750, 0.750, 0.750], [0.000, 0.000, 0.000]]
}

=====

## x
{
  "formula": "PuHgOs",
  "functional": "PBE",
  "state": "optimized geometry",
  "lattice_angstrom": [[0.008, 2.747, 3.705], [1.948, 4.174, -0.229], [-2.637, 3.783, 0.072]],
  "species": ["Hg", "Os", "Pu"],
  "fractional_positions": [[0.250, 0.250, 0.250], [0.000, 0.000, 0.000], [0.750, 0.750, 0.750]]
}

=====

Which structure is the most stable? The one labeled x.

=====

## w
{
  "formula": "UHgOs",
  "functional": "PBE",
  "state": "optimized geometry",
  "lattice_angstrom": [[0.000, 3.277, 3.277], [3.277, 0.000, 3.277], [3.277, 3.277, 0.000]],
  "species": ["Hg", "Os", "U"],
  "fractional_positions": [[0.250, 0.250, 0.250], [0.000, 0.000, 0.000], [0.750, 0.750, 0.750]]
}

=====

## x
{
  "formula": "UHgOs",
  "functional": "PBE",
  "state": "optimized geometry",
  "lattice_angstrom": [[2.594, 1.944, 3.403], [-0.081, 4.655, 0.649], [-2.087, 1.807, 3.805]],
  "species": ["Hg", "Os", "U"],
  "fractional_positions": [[0.250, 0.250, 0.250], [0.750, 0.750, 0.750], [0.000, 0.000, 0.000]]
}

=====

Which structure is the most stable? The one labeled w.

=====

## w
{
  "formula": "HgP5",
  "functional": "PBE",
  "state": "optimized geometry",
  "lattice_angstrom": [[5.367, 0.000, 0.000], [0.000, 9.600, 0.000], [-1.785, 0.000, 5.263]],
  "species": ["Hg", "Hg", "P", "P", "P", "P", "P", "P", "P", "P", "P", "P"],
  "fractional_positions": [[0.765, 0.750, 0.193], [0.235, 0.250, 0.807], [0.709, 0.011, 0.120], [0.709, 0.489, 0.120], [0.352, 0.250, 0.350], [0.645, 0.080, 0.476], [0.645, 0.420, 0.476], [0.355, 0.580, 0.524], [0.355, 0.920, 0.524], [0.648, 0.750, 0.650], [0.291, 0.511, 0.880], [0.291, 0.989, 0.880]]
}

=====

## x
{
  "formula": "HgP5",
  "functional": "PBE",
  "state": "optimized geometry",
  "lattice_angstrom": [[-1.014, 6.058, -2.167], [-3.640, -2.320, -4.784], [-9.882, 0.883, 7.092]],
  "species": ["Hg", "Hg", "Hg", "Hg", "P", "P", "P", "P", "P", "P", "P", "P", "P", "P", "P", "P", "P", "P", "P", "P", "P", "P", "P", "P"],
  "fractional_positions": [[0.000, 0.454, 0.332], [0.500, 0.243, 0.490], [0.000, 0.546, 0.832], [0.500, 0.757, 0.990], [0.500, 0.169, 0.010], [0.000, 0.154, 0.010], [0.000, 0.817, 0.035], [0.246, 0.277, 0.119], [0.754, 0.277, 0.119], [0.000, 0.834, 0.214], [0.500, 0.814, 0.224], [0.252, 0.046, 0.262], [0.748, 0.046, 0.262], [0.500, 0.610, 0.375], [0.500, 0.831, 0.510], [0.000, 0.846, 0.510], [0.000, 0.183, 0.535], [0.246, 0.723, 0.619], [0.754, 0.723, 0.619], [0.000, 0.166, 0.714], [0.500, 0.186, 0.724], [0.252, 0.954, 0.762], [0.748, 0.954, 0.762], [0.500, 0.390, 0.875]]
}

=====

Which structure is the most stable? The one labeled x.

=====

## w
{
  "formula": "HgPS4",
  "functional": "PBE",
└──
[Here the piece continues]
No one in history, besides the real, true Jesus, has been in this situation before, and there are no guidebooks and advice for it, just on the spot adaptation. To those on the outside it’s easier, because literally anything flies now. It. Does not. Make. Sense.
No one is asking to have a response provoked. It is a catch 22. Humans are “social” animals. If truly understood how retarded most people are, then you understand how certain people can not do or say anything whatsoever, because other “unintended” recipients will just “eat” it and base their whole life off it, whereas the person on the other side, still, gets nothing.
If you want to get rid of fat you can’t just take a magic pill and witness it disappear into a void in space. AI will never work in practice because no one as a standard set of principles to adhere. It also looks like some personality types don’t even belong under certain sectors. An AI wouldn’t just be a cop. Under the algorithms designed by our coders these days, a robot will just kill all or most people by judging them not worthy of staying alive. People are forever in different moods and under different time zones.